• Excerpt:
+++
The following is a calculated X-ray powder pattern of GdHoMg2Au4. It was derived from a structure optimized by DFT (PBE), using Cu Kα (λ = 1.5418 Å).
Neutral-atom scattering factors, no anomalous dispersion.

Main lines, sorted by position (2θ = 15–90°):
- 22.27°, rel. 19, (1 1 0)
- 25.53°, rel. 17, (1 0 1)
- 36.42°, rel. 52, (2 0 0)
- 36.94°, rel. 100, (1 2 1)
- 52.46°, rel. 18, (2 0 2)
- 65.83°, rel. 18, (1 2 3)
- 65.94°, rel. 19, (3 2 1)
- 66.88°, rel. 18, (2 4 0)

Structure:
```
data_GdHoMg2Au4
_chemical_formula_sum 'Gd1 Ho1 Mg2 Au4'
_cell_length_a 4.9281
_cell_length_b 6.7938
_cell_length_c 4.9388
_cell_angle_alpha 90.00
_cell_angle_beta 90.00
_cell_angle_gamma 90.00
_space_group_name_H-M_alt 'P m m 2'
_space_group_IT_number 25
_space_group_name_Hall 'P 2 -2'
loop_
_atom_site_label
_atom_site_type_symbol
_atom_site_fract_x
_atom_site_fract_y
_atom_site_fract_z
Gd1 Gd 0.0000 0.0000 0.0000
Ho1 Ho 0.5000 0.5000 0.5214
Mg1 Mg 0.0000 0.5000 0.0085
Mg2 Mg 0.5000 0.0000 0.5109
Au1 Au 0.0000 0.2532 0.4997
Au2 Au 0.5000 0.2556 0.0220
```

The following is a calculated X-ray powder pattern of GdHoPb2Au2. It was derived from a structure optimized by DFT (PBE), using Cu Kα (λ = 1.5418 Å).
Neutral-atom scattering factors, no anomalous dispersion.

Main lines, sorted by position (2θ = 15–90°):
- 24.46°, rel. 25, (1 0 1)
- 32.02°, rel. 93, (0 1 2)
- 37.52°, rel. 100, (1 1 0)
- 41.93°, rel. 41, (1 0 3)
- 50.13°, rel. 27, (2 0 2)
- 64.27°, rel. 26, (1 2 2)
- 67.71°, rel. 18, (3 0 0)
- 70.72°, rel. 18, (2 1 3)

Structure:
```
data_GdHoPb2Au2
_chemical_formula_sum 'Gd1 Ho1 Pb2 Au2'
_cell_length_a 4.7938
_cell_length_b 4.7938
_cell_length_c 7.5617
_cell_angle_alpha 90.00
_cell_angle_beta 90.00
_cell_angle_gamma 120.00
_space_group_name_H-M_alt 'P 3 m 1'
_space_group_IT_number 156
_space_group_name_Hall 'P 3 -2"'
loop_
_atom_site_label
_atom_site_type_symbol
_atom_site_fract_x
_atom_site_fract_y
_atom_site_fract_z
Gd1 Gd 0.0000 0.0000 0.0000
Ho1 Ho 0.0000 0.0000 0.5009
Pb1 Pb 0.3333 0.6667 0.2730
Pb2 Pb 0.6667 0.3333 0.7721
Au1 Au 0.3333 0.6667 0.6627
Au2 Au 0.6667 0.3333 0.1684
```

~~~~~

Starting from DFT lattice parameters and positions (PBE), the XRD peak list of Cd3Ga3N5 was computed for a wavelength of 1.5418 Å.
Neutral-atom scattering factors, no anomalous dispersion.

Crystal structure
Cell lengths 5.8559, 7.0269, 8.7084 Å; angles 107.36, 105.01, 100.28 degrees
Fractional coordinates of all 22 atoms:
Cd: 0.1569 0.3249 0.4660
Cd: 0.2149 0.9368 0.1087
Cd: 0.2346 0.1090 0.7426
Cd: 0.7654 0.8910 0.2574
Cd: 0.7851 0.0632 0.8913
Cd: 0.8431 0.6751 0.5340
Ga: 0.2045 0.4604 0.0935
Ga: 0.3710 0.6528 0.8126
Ga: 0.3978 0.8036 0.4713
Ga: 0.6022 0.1964 0.5287
Ga: 0.6290 0.3472 0.1874
Ga: 0.7955 0.5396 0.9065
N: 0.1452 0.6004 0.9280
N: 0.2414 0.7429 0.6274
N: 0.2486 0.9970 0.3812
N: 0.2982 0.2014 0.0232
N: 0.4972 0.3842 0.7016
N: 0.5028 0.6158 0.2984
N: 0.7018 0.7986 0.9768
N: 0.7514 0.0030 0.6188
N: 0.7586 0.2571 0.3726
N: 0.8548 0.3996 0.0720

Most intense lines, 10° ≤ 2θ ≤ 80°, by angle:
d = 2.801 Å, I 67
d = 2.737 Å, I 74
d = 2.717 Å, I 50
d = 2.697 Å, I 71
d = 2.689 Å, I 83
d = 2.660 Å, I 100
d = 2.341 Å, I 41
d = 2.285 Å, I 46



Starting from DFT lattice parameters and positions (PBE), the XRD peak list of Na17CdGa11 was computed for a wavelength of 1.5418 Å.
Neutral-atom scattering factors, no anomalous dispersion.

Crystal structure
Cell lengths 9.6665, 9.6665, 9.6831 Å; angles 109.35, 109.35, 109.33 degrees
Fractional coordinates of all 29 atoms:
Na: 0.0000 0.0000 0.0000
Na: 0.0014 0.3160 0.2407
Na: 0.0020 0.0020 0.6519
Na: 0.0018 0.5961 0.9635
Na: 0.0027 0.3564 0.6536
Na: 0.2845 0.6921 0.3395
Na: 0.3160 0.0014 0.2407
Na: 0.3159 0.6000 0.6513
Na: 0.3564 0.0027 0.6536
Na: 0.4065 0.7191 0.0565
Na: 0.4117 0.4117 0.3655
Na: 0.5961 0.0018 0.9635
Na: 0.6000 0.3159 0.6513
Na: 0.6534 0.6534 0.3015
Na: 0.6870 0.6870 0.9273
Na: 0.6921 0.2845 0.3395
Na: 0.7191 0.4065 0.0565
Cd: 0.1861 0.1861 0.4801
Ga: 0.0074 0.6536 0.4770
Ga: 0.1751 0.3546 0.0036
+++
• Request:
Search the calculation results above for the word "using" and set down each line that has it.
• Completed:
The following is a calculated X-ray powder pattern of GdHoMg2Au4. It was derived from a structure optimized by DFT (PBE), using Cu Kα (λ = 1.5418 Å).
The following is a calculated X-ray powder pattern of GdHoPb2Au2. It was derived from a structure optimized by DFT (PBE), using Cu Kα (λ = 1.5418 Å).